Stroke Recovery Galax VA

Strokes are life altering for both the victims and their families. While strokes occur in different severities, they all involve a blood vessel that has burst or has been blocked in some way from carrying oxygen and nutrients in the blood to some part of the brain. Damage is caused when brain cells die as a result. A stroke can cause loss of function temporarily or permanently depending on which parts of the brain were affected and how much impairment resulted. Stroke recovery Galax VA is dependent upon quick diagnosis and treatment.

For family members, it’s excruciating to watch a loved one go through such trauma, but immediate treatment and rehabilitation can go a long way toward helping him or her recover and adjust to any life changes the stroke may have caused. Being able to do that at home can also give your loved one a boost. Being more comfortable in their own homes can prevent depression and anxiety which make recovery even more difficult. Everything we can do to give our loved ones a positive outlook makes a difference.

Being a caregiver for someone who has had a stroke can be challenging but there are many resources available to offer support. The most helpful thing you can do is to put yourself in the stroke victim’s shoes.Remembering that your loved one will want to regain as much independence as possible will guide you in encouraging your loved one while not being too restrictive.

Here are some other tips to help you care for a stroke victim at home.

_Unrelated to this text: materials data_
~~~
(1)
A plane-wave DFT calculation with PBE was carried out for a relaxed structure of Sn5C6S9N2O2.

Output
For the volume, the calculation gives 2480.3 Å³ per cell. For the total moment, the calculation gives 0.00 μB/f.u. For the energy with MP2020 corrections, the calculation gives -567.5 eV for the cell shown. The energy of formation from the pure elements comes out at -11 kJ per mole of atoms.

Geometry as CIF:
```
data_Sn5C6S9N2O2
_chemical_formula_sum 'Sn20 C24 S36 N8 O8'
_cell_length_a 12.803
_cell_length_b 12.803
_cell_length_c 15.131
_cell_angle_alpha 90.00
_cell_angle_beta 90.00
_cell_angle_gamma 90.00
_symmetry_space_group_name_H-M 'P -4 n 2'
_symmetry_Int_Tables_number 118
_symmetry_space_group_name_Hall 'P -4 -2n'
loop_
_atom_site_label
_atom_site_type_symbol
_atom_site_fract_x
_atom_site_fract_y
_atom_site_fract_z
_atom_site_occupancy
Sn1 Sn 0.000 0.000 0.179 1
Sn2 Sn 0.084 0.258 0.174 1
Sn3 Sn 0.104 0.825 0.995 1
C1 C 0.013 0.315 0.537 1
C2 C 0.053 0.643 0.489 1
C3 C 0.122 0.219 0.647 1
S1 S 0.038 0.138 0.288 1
S2 S 0.050 0.186 0.884 1
S3 S 0.075 0.425 0.250 1
S4 S 0.112 0.644 0.084 1
S5 S 0.243 0.254 0.092 1
N1 N 0.072 0.266 0.593 1
O1 O 0.028 0.133 0.080 1
```

---

(2)
A plane-wave DFT calculation with PBE was carried out for a relaxed structure of LiMg6ScSi8O24.

Output
For the volume, the calculation gives 870.9 Å³ per cell. For the total moment, the calculation gives 0.00 μB/f.u. For the energy with MP2020 corrections, the calculation gives -600.2 eV for the cell shown. The energy of formation from the pure elements comes out at -290 kJ per mole of atoms.

Geometry as CIF:
```
data_LiMg6ScSi8O24
_chemical_formula_sum 'Li2 Mg12 Sc2 Si16 O48'
_cell_length_a 7.944
_cell_length_b 14.035
_cell_length_c 7.829
_cell_angle_alpha 90.00
_cell_angle_beta 93.73
_cell_angle_gamma 90.00
_symmetry_space_group_name_H-M 'P 1 c 1'
_symmetry_Int_Tables_number 7
_symmetry_space_group_name_Hall 'P -2yc'
loop_
_atom_site_label
_atom_site_type_symbol
_atom_site_fract_x
_atom_site_fract_y
_atom_site_fract_z
_atom_site_occupancy
Li1 Li 0.000 0.090 0.000 1
Mg1 Mg 0.024 0.449 0.906 1
Mg2 Mg 0.343 0.328 0.626 1
Mg3 Mg 0.377 0.138 0.763 1
Mg4 Mg 0.408 0.474 0.253 1
Mg5 Mg 0.572 0.245 0.362 1
Mg6 Mg 0.809 0.350 0.165 1
Sc1 Sc 0.724 0.246 0.758 1
Si1 Si 0.005 0.337 0.538 1
Si2 Si 0.161 0.054 0.332 1
Si3 Si 0.169 0.261 0.215 1
Si4 Si 0.412 0.322 0.978 1
Si5 Si 0.533 0.023 0.512 1
Si6 Si 0.687 0.440 0.523 1
Si7 Si 0.724 0.099 0.203 1
Si8 Si 0.960 0.098 0.655 1
O1 O 0.016 0.067 0.461 1
O2 O 0.047 0.318 0.078 1
O3 O 0.128 0.402 0.675 1
O4 O 0.152 0.059 0.760 1
O5 O 0.154 0.141 0.190 1
O6 O 0.183 0.285 0.423 1
O7 O 0.302 0.256 0.845 1
O8 O 0.342 0.052 0.440 1
O9 O 0.345 0.434 0.972 1
O10 O 0.374 0.283 0.179 1
O11 O 0.519 0.230 0.600 1
O12 O 0.519 0.430 0.635 1
O13 O 0.543 0.050 0.711 1
O14 O 0.573 0.093 0.037 1
O15 O 0.611 0.304 0.960 1
O16 O 0.612 0.392 0.338 1
O17 O 0.654 0.091 0.401 1
O18 O 0.772 0.211 0.223 1
O19 O 0.789 0.461 0.012 1
~~~

  1. Work with an occupational therapist to make modifications to the home to reduce the risk of falling. Installing grab bars and slip resistant mats, improving lighting, and removing clutter can make the home safer.
  2. Some medications cause side effects. Keeping a record of the victim’s symptoms and behaviors can help you to identify any problems that may be caused by a medication.
  3. Since stroke victims can take months to recover, effects from the event might not be evident right away. Watch for anything unusual and report any new symptoms to the patient’s neurologist.
  4. Encourage the patient to participate in daily rehabilitation exercises. Movement stimulates the brain and is one of the best treatment options.
  5. Help only when it is necessary or if the patient asks for assistance. It’s important for patients to do as much as they can for themselves. Intervening can hamper the recovery process.
  6. Be aware of the fact that your loved one is going through emotional changes and may experience depression, anxiety, and even grief. Try to remain supportive and understand that the patient’s frustration is not because of anything you did. A counselor or therapist may be able to help the patient deal with his or her feelings.
  7. Don’t be discouraged. Stroke patients achieve improvements amid setbacks. Setbacks are normal as long as the patient is improving overall.
  8. Get help and support for yourself as a caregiver. Joining a support group, seeing a counselor, and utilizing home health care services can keep you from being overwhelmed and stressed.

Virginia Kares Home Care Services, LLC, can provide the support and care you and your loved one need. Companionship, transportation, medication reminders, and personal care are just a few of the ways our care providers can give you and your family peace of mind during a trying time. Contact us today to learn more about your stroke recovery Galax VA options.